Wednesday, May 25, 2016

**These molecular data were left in the entry by mistake**
/*
ORCA calculation (ωB97M-V/def2-TZVPD) on C18H19MgN7O2P as an isolated structure at a distorted geometry.

Charge   +1
HOMO-LUMO gap   8.361 eV
E   -48232.3465 eV
LUMO   -2.94 eV

Each line ends with the Löwdin charge.
CARTESIAN COORDINATES (ANGSTROEM)
Mg1 -10.78436 -9.97194 6.07582  0.6711
C1 -10.24736 -9.11291 11.47458  -0.0596
N1 -10.94061 -9.35200 10.26614  -0.1247
C2 -12.31673 -9.50990 10.13190  -0.0349
C3 -12.53006 -9.76696 8.83391  -0.0675
N2 -11.29054 -9.73111 8.10582  0.0141
C4 -10.33308 -9.50340 9.02423  -0.3845
P1 -8.54786 -9.11176 8.77652  1.1958
C5 -8.37561 -10.64157 7.88864  -0.4496
N3 -9.05907 -11.03510 6.79818  0.0202
C6 -8.36146 -12.13031 6.26016  -0.0534
C7 -7.27945 -12.43234 7.06223  -0.0123
N4 -7.28539 -11.46742 8.07806  -0.1328
C8 -6.24443 -11.26024 9.04434  -0.0509
C9 -8.89150 -8.03078 7.38848  -0.4389
N5 -9.66831 -8.24294 6.32707  0.0154
C10 -9.50327 -7.12824 5.45648  -0.0507
C11 -8.64239 -6.24243 6.00048  -0.0128
N6 -8.26905 -6.81319 7.23699  -0.1234
C12 -7.51663 -6.12740 8.27530  -0.0393
H1 -10.74057 -8.34348 12.02913  0.0908
H2 -9.21507 -8.74935 11.33591  0.0657
H3 -10.18231 -9.98614 12.14560  0.1102
H4 -13.06728 -9.46414 10.93115  0.1437
H5 -13.47794 -9.93137 8.33789  0.0914
H6 -8.75469 -12.60393 5.38491  0.1144
H7 -6.56191 -13.28831 6.98118  0.1464
H8 -5.68366 -12.22120 9.09771  0.1105
H9 -6.59513 -11.07212 10.05055  0.0816
H10 -5.54709 -10.48019 8.73336  0.0982
H11 -10.02966 -7.07084 4.52261  0.1203
H12 -8.27512 -5.32903 5.55104  0.1324
H13 -7.13837 -5.21047 7.83960  0.0919
H14 -6.63313 -6.73352 8.56453  0.0917
H15 -8.13007 -5.91801 9.16950  0.1004
O1 -10.96324 -10.61504 2.06954  0.0483
C13 -11.19710 -10.51792 3.28445  -0.5799
O2 -10.32243 -10.22312 4.19116  -0.1189
C14 -12.61492 -10.73083 3.76665  -0.1588
C15 -13.56927 -11.18284 2.86859  0.0261
C16 -14.88443 -11.32556 3.34566  -0.0350
C17 -15.15166 -11.05442 4.66614  -0.0518
C18 -14.13498 -10.58916 5.50655  -0.1247
N7 -12.87538 -10.49474 5.10151  0.0667
H16 -13.31120 -11.38896 1.82198  0.1352
H17 -15.63315 -11.70020 2.65312  0.1177
H18 -16.15578 -11.11502 5.13504  0.1225
H19 -14.35269 -10.39080 6.53613  0.0817
*/
**So much for the molecular data**

Trimming the Garden for Hot Days

The hot days of spring and summer are here so we use burlap, shade cloth, and trim out plants back regularly to keep our plants healthy in the heat.

Sunday, May 22, 2016

Herbal Tips - Marjoram

_Next to the page, the page also holds calculated molecules_
/*
[1]
C5H10N2S | ωB97M-V/def2-TZVPD

Geometry as XYZ:
```
18
Properties=species:S:1:pos:R:3:forces:R:3:mulliken_charge:R:1
S 0.582555 1.508070 -0.211788 -0.083 -0.130 0.049 -0.172
N -1.705673 -0.431555 0.613645 0.710 0.944 -0.213 -0.535
N 1.782508 -1.342097 -0.409660 -0.083 -0.107 -0.182 -0.654
C 0.359968 0.619989 1.388188 0.394 -0.695 -0.736 -0.932
C -0.152464 0.090360 -1.106679 -0.224 -0.201 -0.025 -0.086
C -0.306879 -0.706070 0.989027 0.112 -0.286 0.300 0.009
C 0.364216 -1.137728 -0.338039 -0.689 0.094 -0.041 -0.484
C -1.660066 0.036516 -0.802246 -0.082 0.020 -0.020 -0.707
H -0.134004 -2.045975 -0.707528 -0.028 0.175 0.022 0.411
H -2.172389 -0.686279 -1.460145 0.183 0.234 0.072 0.312
H -2.269805 -1.241941 0.683005 -0.424 -0.819 0.152 0.306
H -2.145892 1.019095 -0.914780 0.234 -0.348 0.030 0.316
H 2.088223 -2.007481 0.277483 0.112 -0.312 0.205 0.265
H 0.093365 0.123900 -2.163362 0.073 0.064 -0.026 0.435
H 2.261512 -0.480564 -0.235442 0.353 0.541 0.034 0.277
H -0.255755 -1.456337 1.795185 -0.019 0.287 -0.238 0.417
H 1.325867 0.489841 1.865484 0.149 -0.125 0.009 0.366
H -0.278496 1.153784 2.039320 -0.690 0.663 0.607 0.457
```
Forces are in eV/Å.

Computed properties:
- HOMO-LUMO gap (eV) = 9.37
- net charge = 0
- calculated total energy (hartree) = -704.2091
- max |F| (hartree/bohr) = 0.0233
- highest occupied orbital energy (eV) = -8.498
- structure (SMILES) = N[C@H]1[C@H]2CS[C@@H]1CN2

***

[2]
C5H10N2S | ωB97M-V/def2-TZVPD

Geometry as XYZ:
```
18
Properties=species:S:1:pos:R:3:forces:R:3:mulliken_charge:R:1
S -2.535863 -0.840785 -0.774659 0.026 -0.567 -0.004 -0.208
N 1.288866 0.904689 -0.946142 -0.653 -0.541 0.422 -0.642
N 0.177586 -0.492047 0.490012 -0.423 0.910 0.324 -0.221
C 1.306259 -0.173109 -0.258957 1.171 -0.604 0.085 0.552
C -0.049522 1.509974 -0.681508 0.814 0.073 0.249 -0.566
C -0.619917 0.726495 0.517526 -0.298 0.798 -0.261 0.246
C 2.390932 -1.231381 -0.267113 -0.809 -0.365 0.362 -1.145
C -2.114934 0.414788 0.444394 0.726 -0.676 0.583 -1.024
H -1.927465 -1.853151 -0.109240 -0.189 0.265 -0.401 0.107
H -0.670445 1.428820 -1.574503 -0.033 -0.060 -0.035 0.293
H 1.922871 -2.118935 -0.711792 0.259 0.147 -0.304 0.287
H 0.087572 2.568909 -0.431157 -0.158 -0.187 -0.187 0.302
H -0.445130 1.347491 1.434747 -0.053 -0.643 -0.418 0.317
H 2.667483 -1.603983 0.735426 -0.085 0.609 -0.185 0.314
H -2.658682 1.289802 0.102016 -0.300 0.167 0.688 0.423
H 0.252111 -0.933680 1.391602 0.559 -0.256 -0.060 0.277
H 3.273955 -0.941065 -0.809609 0.142 0.157 -0.214 0.340
H -2.345670 -0.002828 1.448965 -0.695 0.772 -0.645 0.346
```
Forces are in eV/Å.

Computed properties:
- HOMO-LUMO gap (eV) = 9.46
- net charge = 0
- calculated total energy (hartree) = -704.2040
- max |F| (hartree/bohr) = 0.0257
- highest occupied orbital energy (eV) = -8.756
- structure (SMILES) = CC1=NC[C@@H](CS)N1

***

Energy above the lowest of the compared OMol25 structures with the same formula, charge and spin (computed, kcal per mole): 9.2 12.4


# 1
*/

Marjoram (Origanum majorana or vulgare)
Marjoram is associated with the element air and the planet Mercury. A true herb of the Mediterranean it grows wild over the hills. Marjoram brings happiness when depressed, and is protective when carried. Medicinally marjoram has a calming effect on the nerves, and is helpful relieving tension and aiding digestion.

Herb aficionados have a favorite saying: "when in doubt, use marjoram", which neatly sums up marjoram’s ability to delicately complement, without overpowering, any dish. Marjoram makes excellent stuffing for chicken and turkey roasts; and is also used in homemade sausages and meats that are to be cured or smoked. The Chopped leaves are added to egg or cheese dishes, fish, lamb, poultry, and vegetables. It makes an attractive garnish for bean and pea soups, and the flowers add a peppery flavor when sprinkled over salads and soups.

Marjoram is one of the rare herbs whose flavor intensifies when dried. Mushrooms cooked with a stuffing of marjoram in their caps leaves them filled with a unique flavor. Marjoram also works well in combination with other herbs in spice blends such as bouquet garni and fine herbs.

Grown in your garden it offers shielding powers against evil. Marjoram should be located in areas receiving full sun and rich well-drained soil. Marjoram is drought tolerant so it makes an exceptional plant for beginner herb growers. Established plants require little care, other than occasional watering.

Harvest & Storing
Cut fresh leaves as needed once plants are 4 to 6 inches tall. When harvesting marjoram, pick the shoots just before flowers begin to open as this results in the best flavor. Bundle marjoram cuttings and hang them upside down in a dark, dry, well-ventilated area. Keep fresh marjoram in a plastic bag in the refrigerator for a few days. Dry leaves and flowers can be stored in an airtight container in a dark cool cabinet.

#culinary #enchantments #gardens #healthyeating #herbs #herbharvest #livinggreen #marjoram #naturalfoods #noordinarychick

Saturday, May 21, 2016

All Natural & Organic? Know Your Marketplace Part 2

So if the information in All Natural? Know Your Marketplace Part 1 makes you a bit uncomfortable just imagine who’s behind your favorite ‘Natural & Organic Food Products’, oops not exactly what they seem!

Most consumers are just trying to get something that fits into their budget so price may be the first thing they are looking for; and then taste… It’s a smaller group that asks if the company is sticking up for the brand’s core principles, and asks if the product is really natural or organic.

As sales of natural and organic food products increase so does the confusion surrounding the definition of natural and organic… Are natural and organic foods the same? No they are not! Although organic foods are natural by definition, he term ‘natural’ applies broadly to foods that are minimally processed and free of synthetic preservatives; artificial sweeteners, colors, flavors and other artificial additives; growth hormones; antibiotics; hydrogenated oils; stabilizers; and emulsifiers. Most foods that are labeled natural are not subject to government controls beyond the regulations and heath codes that apply to all foods.

*Exceptions include meat and poultry. The Food Safety & Inspection Service of the U.S. Department of Agriculture requires these to be free of artificial colors, flavors, sweeteners, preservatives, and ingredients that do not occur naturally in the food. Natural meat and poultry must be minimally processed in a method that does not fundamentally alter the raw product. In addition, the label should explain the use of the term natural, i.e.: ‘no artificial ingredients’.

‘Organic’ refers not only to the food itself, but also to how it was produced. Foods labeled organic must be certified under the National Organic Program, in effect since October 21, 2002. They must be grown and processed using organic farming methods that recycle resources and promote biodiversity; two key elements of environmentally sustainable agriculture. Crops must be grown without using synthetic pesticides, bioengineered genes, petroleum-based fertilizers, and sewage sludge-based fertilizers.

Organic livestock must have access to the outdoors, and be given no antibiotics or growth hormones.

Organic foods, herbs, and spices may not be irradiated.

A natural companies labeling has more impact on consumers who are not well versed in natural and organic ingredients, terms, and labeling regulations; and are therefore more likely to believe that these products are in fact natural or organic just because they’re marketed that way.

Amy’s or Amy’s Kitchen was founded in 1987 by Andy & Rachel Berliner, and is still family owned, yeah! This company recently opened the first ‘Amy’s Drive-thru Restaurant’ in California; yes this is a natural foods take out, and it is doing tremendously well! You can always count on the quality of Amy’s products; we took our family’s household green, and switched to all natural foods in 1983, and we have been using Amy’s since their onset to the natural foods market.

Annie’s or Annie’s Homegrown In 1989, Annie Withey co-founded Annie’s Homegrown, Inc. with Andrew Martin with the goal of making a healthy and delicious macaroni and cheese for families. In mid-September 2014 Annie’s became the sister of Betty Crocker and dozens of other non-natural brands that make up the food conglomerate General Mills. This is truly an unfortunate situation as Annie’s has a huge market for children’s foods and snacks; now owned by General Mills can we really trust that the product will stay natural, and organic?

Small Planet Foods, or a division of General Mills, who are you trying to fool?! Cascadian Farm, Food Should Taste Good, Muir Glen, and Larabar are all branded as Small Planet Foods.

Cascadian Farm began with founder Gene Kahn from Chicago 40 years ago who just wanted to make a difference in the world. Since 1972, Cascadian Farm has grown beyond its original farm and is recognized as a pioneer in converting conventional farms to organic. We were organic before ‘organic’ was a trend, or even before the USDA certified it, is their slogan… so why did they sell out to the food giant General Mills in late 1999? We just boycott this company altogether; there are many other still family and privately owned companies making the variety of products that Cascadian Farms does, and these days the price difference is minimal.

Muir Glen was named after legendary naturalist John Muir, and was founded in 1991 by a group of entrepreneurs with experience in agriculture industry. All of Muir Glen's tomatoes are field grown and vine ripened under certified organic practices; no synthetic pesticides, no chemical fertilizers, just true to nature. We find this one of the harder companies to buy other brands, as there just aren’t that many tomato companies, and Muir Glen has so many choices. We have taken to roasting our own tomatoes, and other additives, and then freezing them during the season for use later in the year.

Food experts say there’s no reason General Mills would pay millions of dollars for these trusted brands jut to destroy them. Of course, General Mills could make subtle ingredient changes that would slowly de-healthify its natural and organic brands to save money.

Late July was founded in 2003 by Nicole Dawes; mom, entrepreneur, and champion of healthy living that tastes great… then it boomed in 2010 and is still thankfully privately owned and operated from 15 Channel Ctr St in Boston MA. All Late July snack foods are made with organic and non-GMO ingredients. Yeah! Again a lot of kid friendly product choices, and this companies products are delicious… one of our favorites is their ‘Classic Rich’ Crackers, they’re delicious!

Nature’s Path was founded in 1985 by Arran & Ratana Stephens and is still family owned. The home office is located in Richmond, BC where you can still find an on-site organic garden and some really big compost bins. Products are made in 2 locations; Blaine, WA and Sussex, WI, from home office, to manufacturing centers, to distribution centers with Nature’s Path’s own 400 committed employees. Another company we regularly count on for the basics like cereal, granola, oatmeal, and more.

We are always reading ingredients and feel it’s helpful to learn some of the differences in natural preservatives and sweeteners that are commonly used in organic products. Next just like with body products, if the ingredient list is more than an inch wide, just put the product down, not kidding, it’s not worth the trouble to read all the details most times… it’s so much easier just to find a few products and a few companies you can count on.

#healthyeating #livinggreen #naturaleating #naturalfoods #naturalfoodproducts #naturallygrown #naturalingredients #naturallivestock #naturalmeats #noordinarychick #organicfoods #organicingredients #organiclivestock #organicfoodproducts #organicllygrown

Friday, May 6, 2016

All Natural? Know Your Marketplace Part 1

Do you know who makes your favorite natural body, cleaners, and household products; and do they really care if the products are safe for the planet, and us, or if they are only interested in our dollar?

Most consumers are just trying to get something that works so efficacy is the first thing they are looking for. It’s a smaller group that asks if the company is sticking up for the brand’s core principles, or asks if the product is really natural.

Greenwashing has been particularly impactful on consumers who are not well versed in natural personal care ingredients, terms, and labeling; and are therefore more likely to believe that these products are in fact natural just because they’re marketed that way.

As sales of natural products increase, so does the confusion surrounding the definition of natural, green or organic. The Department of Agriculture regularly inspects food that is labeled organic to make sure it complies with regulations; the same rules and processes do not apply to beauty and body care products.

Burt’s Bee’s started with a line of organic balms and butters launched in the 1980s by Burt Shavitz, a Maine beekeeper who lived in a turkey coop and sold his bees’ honey from the back of his truck. Flash ahead almost 30 years, and what started as a little collection of handmade soaps and lotions is now a factory-produced beauty line adored by hippies and new-agers alike and owned by the Clorox Co… geez just the word Clorox is enough to turn us away!

Mrs. Meyers was a wonderful small company that was inspired by Thelma Meyer in a small town in Iowa, and is now owned by SC Johnson; who has been broadcasting television commercials claiming they are devoted to keeping the planet safe. Just read the ingredients; some things the FDA allows to be called natural may not be so great for our planet, or us, but it is good for the profit bottom line.

Seventh Generation is the only biggie in the natural cleaning world still privately held and operated from Burlington, VT. They still use less expensive natural plant products, and pass that on to the public, and they do not try to say they are something they are not. Even though some companies use safer plant sulfates; they do increase the expense of the products, and you can find Seventh Generation more often in the marketplace so it’s a good place to start.

Tom’s of Maine This company makes more than just natural soaps and body care products; once upon a time we used some of these products, but how important do you think being natural is to Colgate - Palmolive the company they’re now owned by? There is a last paragraph disclaimer on the Tom’s of Maine website in the about the company link that they’d grown in size, and in 2006 became a part of the Colgate-Palmolive family; says their approach has not changed, and then goes on to offer a link to see what the original company founders Tom & Kate are doing now.

We generally do look at ingredients and feel it’s an immediate flag if they are not listed. It is helpful to learn some of the differences in the plant sulfites that are used in natural products. Next just like with food products, if the ingredient list is more than an inch wide, just put the product down, not kidding, it’s not worth the trouble to read all the details most times… it’s so much easier just to find a few products and a few companies you can count on.

#allnatural #greenproducts #greenbodycare #greencleaners #greenhouseholdproducts #livinggreen #naturalproducts #naturalbodycare #naturalcleaning #naturalhouseholdproducts #naturalpersonalcareproducts #naturalsoaps #noordinarychick #organicbalms #organicbodycare #organiccleaners #organichouseholdproducts #organicpersonalcareproducts #organicproducts